An old article I was wondering about. Who's house got busted?


Well-Known Member
Found this on a site(not xpotting)back in the day and saved the pics in a folder. Just browsed through that folder again and dug them up. Anyone know the back story on this grow/bust?

01.jpg 02.jpg 03.jpg04.jpg 05.jpg06.jpg07.jpg08.jpg 09.jpg10.jpg11.jpg12.jpg


Well-Known Member
The great Tennessee pot cave!! I don't remember the whole story, but google that, and it will send you where you want.


Well-Known Member
better question is, Who owns it now ?? fukn awesome setup there...

bet he wishes he followed rules 1,2, and 3.. Dont tell any one, dont tell anyone, Dont fukn tell anyone....

Total Head

Well-Known Member
that tunnel is fucking awesome.

pic 4 did not sit well with me though. did anyone else notice he has those floros awfully far away? not like he needs my advice but i'd lower those a few feet if it was my shit. maybe he tried it and had heat issues.


Well-Known Member
They auctioned the property off with most of the equipment still there if memory serves. lol


Well-Known Member
bet he wishes he followed rules 1,2, and 3.. Dont tell any one, dont tell anyone, Dont fukn tell anyone....
They got caught because one day when the electric company sent a worker out to the house to see where the stolen electricity was being taken, and when he got there, a guy with a shotgun told him to leave. Lol.

Total Head

Well-Known Member
They got caught because one day when the electric company sent a worker out to the house to see where the stolen electricity was being taken, and when he got there, a guy with a shotgun told him to leave. Lol.
is that true? if it is then holy shit. i can't imagine a dude who's with it enough to set all that up but so stupid as to threaten a utility worker when the jig is up. i would have told the worker to wait there while i got the owner and i would have boogied out that tunnel like no one's business.

[Attached: materials data]
~~~
1.
## Tb2Ga2Ni3 (PBE)

Data for a geometry-optimized Tb2Ga2Ni3 structure.

a b c (Å): 10.534 3.760 6.685
angles (deg): 90.00 114.00 90.00
Space group C2/m (No. 12)
Unique sites:
1 Tb 0.125 0.000 0.264 (multiplicity 4)
2 Ga 0.156 0.000 0.743 (multiplicity 4)
3 Ni 0.000 0.500 0.500 (multiplicity 2)
4 Ni 0.108 0.500 0.934 (multiplicity 4)

As for the formation energy: -0.52 eV/atom.

***

2.
## AcBSb (PBE)

Data for a geometry-optimized AcBSb structure.

a b c (Å): 8.098 5.551 7.507
angles (deg): 90.00 90.00 90.00
Space group Pnma (No. 62)
Unique sites:
1 Ac 0.015 0.250 0.220 (multiplicity 4)
2 B 0.008 0.250 0.848 (multiplicity 4)
3 Sb 0.220 0.250 0.638 (multiplicity 4)

The total energy comes out at -4.881 eV/atom.

***

> What is the formula in the second record?

AcBSb

***

> What is the formula in the second record?

AcBSb

* * * * *

(1)
A plane-wave DFT calculation with PBE was carried out for a relaxed Ba2CeTaO6 crystal.

Lattice parameters (Å, degrees): 4.316 4.316 8.739 90.00 90.00 90.00
Site moments in Bohr magnetons follow the coordinates.
Fractional coordinates of all 10 atoms:
Ce: 0.500 0.500 0.000  0.41
Ta: 0.500 0.500 0.500  0.03
O: 0.500 0.000 0.000  -0.01
O: 0.500 0.500 0.275  0.00
O: 0.000 0.500 0.500  0.00
O: 0.000 0.500 0.000  -0.01
Ba: 0.000 0.000 0.262  0.00
O: 0.500 0.500 0.725  0.00
Ba: 0.000 0.000 0.738  0.00
O: 0.500 0.000 0.500  0.00

## Properties
Its magnetization is 0.05 μB per atom. The calculation puts the density of states at the Fermi level at 4.26 states/eV/cell. As for the uncorrected formation energy: -2.9641 eV/atom.

(2)
A plane-wave DFT calculation with PBE was carried out for a relaxed BaCeTa2O8 crystal.

Lattice parameters (Å, degrees): 6.062 6.062 7.579 90.00 90.00 120.00
Fractional coordinates of all 12 atoms:
O: 0.161 0.838 0.695
O: 0.333 0.667 0.007
Ta: 0.667 0.333 0.232
O: 0.677 0.839 0.695
O: 0.838 0.677 0.305
Ce: 0.000 0.000 0.500
O: 0.667 0.333 0.993
O: 0.323 0.161 0.305
O: 0.839 0.162 0.305
Ta: 0.333 0.667 0.768
Ba: 0.000 0.000 0.000
O: 0.162 0.323 0.695

## Properties
Its magnetization is 0.00 μB per atom. The calculation puts the density of states at the Fermi level at 0.00 states/eV/cell. As for the uncorrected formation energy: -2.9636 eV/atom.

(3)
A plane-wave DFT calculation with PBE was carried out for a relaxed Ba2TbCeO6 crystal.

Lattice parameters (Å, degrees): 6.287 6.287 6.287 60.00 60.00 60.00
Site moments in Bohr magnetons follow the coordinates.
Fractional coordinates of all 10 atoms:
O: 0.752 0.248 0.752  0.13
Ba: 0.250 0.250 0.250  -0.01
O: 0.248 0.752 0.248  0.13
Ba: 0.750 0.750 0.750  -0.01
Ce: 0.000 0.000 0.000  0.10
O: 0.752 0.248 0.248  0.13
O: 0.248 0.248 0.752  0.13
Tb: 0.500 0.500 0.500  0.05
O: 0.752 0.752 0.248  0.13
O: 0.248 0.752 0.752  0.13

## Properties
~~~


Well-Known Member
Damn imagine how rich they would have been if they didn't steal the electricity....what a stupid mistake

Living The Dream

New Member
Damn imagine how rich they would have been if they didn't steal the electricity....what a stupid mistake
they were mad rich though. iread the story on that. he had like 3-4 rooms going and had that one for a while. how do you think he could afford that house and all the construction mods. no one lived in the house though.


Well-Known Member
is that true? if it is then holy shit. i can't imagine a dude who's with it enough to set all that up but so stupid as to threaten a utility worker when the jig is up. i would have told the worker to wait there while i got the owner and i would have boogied out that tunnel like no one's business.
The whole story.

Police were eventually tipped off to the operation after the electric company discovered the missing electricity and sent crews to investigate. There are unsubstantiated rumors that man with a shot gun threatened an electric company worker in a confrontation at the houses massive front gate.
On December 14th 2005, the house was raided by national and local law enforcement agencies and three men were arrested in connection with the growing operation. Brian Gibson and Greg Compton were arrested in Tennessee and are believed to be the day-to-day managers of the operation. Fred Earl Strunk, thought to be the mastermind behind the operation, was arrested at his home in an affluent area of Gainesville Florida.


Well-Known Member

I wonder if they are out yet ? Probly got another one running now somewhere else...


Well-Known Member
what if someone bought the property and restarted the operation hmmmm nobody would expect that... haha

Jer La Mota

Well-Known Member
You'd have to rebuild it, after the fire, only thing left is the brick structure, and hydraulics in the tunnel ..

Plus the guy got 12 years for stealing electricity .. worth 60k !!


Well-Known Member
nothing in the cave was harmed from the fire. Just the house.

Back when Fred Strunk and company were building their invisible fort, the local electric company was asked to install a much larger transformer than usually required by a residence. But once the growing operation began, Fred and his gang found to their dismay they still did not have enough electrical power to operate the grow lamps required to raise 1,000 marijuana plants at a time.

They were afraid to ask the electric company to install more power
since this would be a very suspicious request without a "reason" to explain the greater need.

Afraid to risk exposure by making a second request, this left them with two choices: reduce the size of their operation or steal the needed electricity. They chose the latter path. The men spliced into the Tri-County Electric line and began to steal electricity

Living The Dream

New Member
so stupid. should have just gotten a generator. they were probably just being greedy and didn't want to pay for gas or a generator. that's what you get.


Well-Known Member
what if someone bought the property and restarted the operation hmmmm nobody would expect that... haha

Some cheese dude bought it. The best place to properly do gourmet cheese is in a cave so I imagine he's got some cheese down there. Too bad it's not some Cheese. :peace: